-- Excerpt --
/*
[1]
First-principles (GGA-PBE) data for crystalline Na10Ca8SiS11O48 at its relaxed geometry, as listed in the Materials Project.

abc: 18.722 9.324 23.753
angles: 89.94 89.97 120.03
Element x y z (fractional)
Ca1 0.998 0.003 0.345
Ca2 0.998 0.006 0.155
Ca3 0.834 0.334 0.178
Ca4 0.999 0.997 0.652
Ca5 0.164 0.653 0.514
Ca6 0.334 0.334 0.678
Ca7 0.339 0.349 0.485
Ca8 0.496 0.002 0.148
Ca9 0.658 0.661 0.016
Ca10 0.331 0.329 0.181
Ca11 0.337 0.348 0.986
Ca12 0.166 0.654 0.014
Ca13 0.499 0.998 0.652
Ca14 0.833 0.338 0.986
Ca15 0.500 0.002 0.848
Ca16 0.667 0.665 0.822
Ca17 0.172 0.662 0.319
Ca18 0.834 0.335 0.678
Ca19 0.167 0.666 0.822
Ca20 0.833 0.330 0.485
Ca21 0.660 0.659 0.514
Ca22 0.667 0.668 0.322
Ca23 0.000 0.001 0.848
Ca24 0.497 0.003 0.352
O1 0.272 0.680 0.962
O2 0.994 0.215 0.300
O3 0.493 0.209 0.302
O4 0.447 0.553 0.141
O5 0.388 0.977 0.693
O6 0.401 0.003 0.084
O7 0.097 0.001 0.917
O8 0.681 0.863 0.581
O9 0.401 0.784 0.300
O10 0.241 0.332 0.418
O11 0.250 0.832 0.752
O12 0.935 0.551 0.037
O13 0.570 0.656 0.085
O14 0.228 0.340 0.135
O15 0.277 0.879 0.473
O16 0.060 0.454 0.964
O17 0.250 0.863 0.080
O18 0.496 0.809 0.086
O19 0.551 0.660 0.359
O20 0.932 0.322 0.537
O21 0.016 0.802 0.700
O22 0.774 0.890 0.365
O23 0.267 0.670 0.252
O24 0.173 0.887 0.868
O25 0.399 0.022 0.807
O26 0.334 0.168 0.748
O27 0.831 0.104 0.134
O28 0.774 0.870 0.468
O29 0.502 0.186 0.918
O30 0.833 0.499 0.248
O31 0.751 0.831 0.752
O32 0.392 0.793 0.198
O33 0.675 0.453 0.362
O34 0.012 0.238 0.199
O35 0.560 0.453 0.963
O36 0.229 0.112 0.632
O37 0.162 0.437 0.468
O38 0.726 0.104 0.638
O39 0.259 0.669 0.583
O40 0.830 0.557 0.634
O41 0.402 0.827 0.915
O42 0.180 0.863 0.580
O43 0.002 0.186 0.919
O44 0.988 0.173 0.583
O45 0.734 0.140 0.245
O46 0.093 0.181 0.416
O47 0.727 0.349 0.138
O48 0.682 0.498 0.081
O49 0.115 0.198 0.800
O50 0.449 0.344 0.639
O51 0.569 0.476 0.580
O52 0.888 0.797 0.193
O53 0.663 0.454 0.464
O54 0.427 0.331 0.247
O55 0.408 0.813 0.582
O56 0.760 0.670 0.581
O57 0.920 0.313 0.246
O58 0.749 0.361 0.419
O59 0.952 0.558 0.138
O60 0.170 0.445 0.366
O61 0.773 0.677 0.968
O62 0.664 0.871 0.964
O63 0.739 0.338 0.744
O64 0.921 0.535 0.745
O65 0.103 0.219 0.699
O66 0.774 0.658 0.866
O67 0.599 0.984 0.199
O68 0.835 0.118 0.032
O69 0.263 0.879 0.371
O70 0.162 0.876 0.970
O71 0.674 0.896 0.862
O72 0.750 0.137 0.918
O73 0.048 0.436 0.861
O74 0.576 0.473 0.253
O75 0.437 0.547 0.038
O76 0.425 0.331 0.917
O77 0.400 0.997 0.415
O78 0.488 0.173 0.584
O79 0.929 0.531 0.419
O80 0.070 0.663 0.756
O81 0.901 0.974 0.417
O82 0.153 0.835 0.253
O83 0.610 0.025 0.300
O84 0.598 0.193 0.415
O85 0.570 0.663 0.755
O86 0.833 0.140 0.421
O87 0.925 0.330 0.918
O88 0.948 0.343 0.639
O89 0.899 0.021 0.807
O90 0.333 0.546 0.537
O91 0.323 0.120 0.128
O92 0.225 0.124 0.530
O93 0.727 0.323 0.036
O94 0.154 0.465 0.755
O95 0.168 0.470 0.081
O96 0.654 0.466 0.755
O97 0.097 0.001 0.583
O98 0.507 0.221 0.200
O99 0.888 0.977 0.693
O100 0.909 0.814 0.580
O101 0.074 0.673 0.079
O102 0.493 0.780 0.801
O103 0.652 0.841 0.254
O104 0.564 0.675 0.461
O105 0.100 0.166 0.085
O106 0.834 0.552 0.531
O107 0.331 0.523 0.919
O108 0.505 0.819 0.415
O109 0.053 0.657 0.361
O110 0.751 0.672 0.252
O111 0.727 0.129 0.536
O112 0.431 0.321 0.538
O113 0.249 0.136 0.920
O114 0.066 0.677 0.463
O115 0.104 0.985 0.200
O116 0.548 0.437 0.861
O117 0.898 0.775 0.307
O118 0.429 0.516 0.416
O119 0.336 0.118 0.027
O120 0.112 0.012 0.302
O121 0.832 0.525 0.921
O122 0.069 0.476 0.580
O123 0.993 0.780 0.801
O124 0.421 0.534 0.745
O125 0.995 0.813 0.085
O126 0.224 0.315 0.033
O127 0.238 0.139 0.247
O128 0.014 0.831 0.416
O129 0.238 0.336 0.744
O130 0.615 0.198 0.800
O131 0.760 0.850 0.081
O132 0.835 0.169 0.748
O133 0.350 0.533 0.248
O134 0.597 0.194 0.085
O135 0.909 0.005 0.081
O136 0.901 0.828 0.918
O137 0.277 0.656 0.861
O138 0.330 0.563 0.639
O139 0.598 0.001 0.915
O140 0.603 0.220 0.699
O141 0.317 0.135 0.421
O142 0.068 0.488 0.254
O143 0.516 0.801 0.700
O144 0.597 0.998 0.585
S1 0.352 0.697 0.250
S2 0.169 0.975 0.919
*/

-- Activity --
Could you search the data above for the word "First-principles" and give back each line that has it?

-- Worked solution --
First-principles (GGA-PBE) data for crystalline Na10Ca8SiS11O48 at its relaxed geometry, as listed in the Materials Project.